Listing.
<<<
1.
C18H18ClN3O | wB97M-V/def2-TZVPD

Output
SMILES string = CN(C(=O)c1ccc(C#Cc2cncc(Cl)c2)cn1)C(C)(C)C
molecular weight = 327.815 g/mol
DFT total energy = -1396.34032 Eh
ΔE to the lowest compared entry with this formula, charge and spin = 67.5 kcal per mole

Each line ends with the natural charge from an NBO analysis.
Geometry (Å):
H -1.0355 2.6725 5.1471  0.207
C -1.9155 -1.1973 0.3696  -0.193
C 2.7624 -2.1136 -7.3766  0.029
H -1.0118 -0.9229 5.2433  0.228
O -2.3633 -1.4335 3.1612  -0.604
H -1.4029 3.2854 1.6843  0.217
N 0.2613 -0.5957 1.0471  -0.413
C 2.6862 -1.0164 -5.2179  -0.154
H -1.1679 3.8479 3.9059  0.215
H -2.1939 -1.6735 -1.7060  0.228
H -0.2817 0.6846 5.5473  0.200
H -0.9843 1.7663 0.9562  0.213
N 1.7084 -2.8762 -7.0760  -0.388
H 1.0398 2.9206 2.4900  0.209
C -1.0169 -0.8192 1.3700  0.121
H -2.4479 2.6567 4.1738  0.212
H 1.2087 1.1123 2.5416  0.247
C 0.8279 -1.5628 -3.6728  0.078
H 1.2203 2.1142 4.0140  0.203
C 1.1287 -2.7122 -5.8922  0.061
C -1.5111 -1.3567 -0.9449  -0.145
C -1.5212 -0.6015 2.7696  0.647
C -1.1181 0.1267 5.0639  -0.399
H 3.0838 -0.3094 -4.4965  0.236
Cl 4.6028 -0.1829 -6.8213  0.035
H 0.2387 -3.1992 -5.6689  0.194
C 0.3504 -1.3994 -2.5628  -0.018
C 1.5209 -1.7723 -4.9131  -0.164
H 1.7267 -0.5808 -0.5069  0.204
C -0.1600 -1.1199 -1.2490  -0.153
H -2.9484 -1.3871 0.6228  0.238
H 3.1952 -2.1447 -8.3767  0.209
N -1.1130 0.4399 3.5997  -0.463
H -2.1015 0.4497 5.4867  0.198
C -0.7486 1.8278 3.1337  0.165
H -2.4900 1.9310 1.8446  0.214
C 0.7836 1.9960 3.0193  -0.638
C 0.7044 -0.7045 -0.2250  0.062
C -1.3678 2.8314 4.1469  -0.615
C -1.4447 2.2262 1.8123  -0.619
C 3.2960 -1.2075 -6.4444  -0.105

***

2.
C18H18ClNO2S2 | wB97M-V/def2-TZVPD

Output
SMILES string = O=C(OC1CCCCC1)c1cc(NC(=S)c2ccsc2)ccc1Cl
molecular weight = 379.934 g/mol
DFT total energy = -2158.51812 Eh
ΔE to the lowest compared entry with this formula, charge and spin = 0.0 kcal per mole

Each line ends with the natural charge from an NBO analysis.
Geometry (Å):
H -1.9671 0.8116 -4.1352  0.251
H 2.1466 2.6242 5.1832  0.195
H -2.6428 -2.0328 -1.9201  0.393
H -0.9730 2.8431 -3.3210  0.233
O -0.4097 -0.0707 1.6378  -0.614
H 2.3504 -0.2712 2.0331  0.221
C 3.4491 0.5478 3.6864  -0.397
C 2.8062 2.9107 4.3326  -0.390
H 2.5631 3.5116 2.3139  0.209
C 3.9770 1.9057 4.1464  -0.400
C -0.9630 2.0104 -2.6453  -0.231
C -3.6238 -4.0678 -5.0052  -0.289
C -3.8704 -5.5663 -3.0436  -0.380
C -2.4480 -2.1533 -3.9079  0.116
H 0.7747 1.1805 3.3812  0.207
C 1.4550 1.6260 2.5998  0.096
H 1.0655 3.5574 3.3253  0.214
C -1.6172 -0.3003 -2.2977  0.130
O 0.7755 1.8329 1.3439  -0.498
C -0.5194 0.9301 -0.4838  -0.112
N -2.2496 -1.4981 -2.6767  -0.564
C -1.1800 -0.2189 -0.9932  -0.190
C -0.0444 0.8612 0.9091  0.767
C -3.1007 -3.4794 -3.8588  -0.198
H -1.2968 -1.0708 -0.3352  0.242
C 2.6771 0.7127 2.3720  -0.433
H -3.6390 -3.6242 -5.9902  0.256
S -4.3079 -5.6925 -4.7360  0.423
H -2.9920 -4.1289 -1.7491  0.216
H 4.6344 2.2827 3.4115  0.194
C -1.5333 0.8303 -3.1337  -0.172
H 2.7874 0.1113 4.4393  0.201
H 4.5615 1.7904 5.0562  0.207
C -3.2826 -4.3663 -2.7385  -0.246
H 3.2603 1.1131 1.5257  0.207
Cl 0.1379 3.6360 -0.8713  0.034
H -4.0452 -6.3772 -2.3576  0.240
C -0.4312 2.0688 -1.3428  -0.019
H 4.3346 -0.1435 3.5882  0.213
H 3.1841 3.9129 4.4771  0.211
S -1.7554 -1.5413 -5.2804  -0.125
C 1.9524 2.9923 3.0603  -0.417

***

3.
C18H18CoN5O2S | wB97M-V/def2-TZVPD

Output
2S+1 = 4
charge = +1
molecular weight = 427.375 g/mol
DFT total energy = -2901.68328 Eh

Each line ends with the natural charge from an NBO analysis.
Geometry (Å):
C 1.3330 -3.7119 3.3334  -0.106
N -3.3180 -3.7396 -0.5944  -0.758
N 1.3368 -0.6375 0.5786  -0.328
H 4.3699 1.8300 -3.2270  0.231
H 5.6704 -3.2100 0.2991  0.225
C 1.4055 -1.7620 1.3483  0.180
C 1.5384 2.8981 -1.6937  -0.289
N 1.5595 -0.7482 -0.7322  -0.310
C 2.5072 -3.5904 2.4953  -0.062
C 0.2346 -2.9473 3.1758  -0.283
Co -0.4812 -0.5032 -0.0964  1.272
O -0.0460 1.5512 -0.4271  -0.597
S -1.0657 -2.5510 -1.2984  -0.210
H 5.5952 -4.9234 2.0809  0.227
>>>

Assignment.
Retype all of the block earlier on exactly.

Done.
1.
C18H18ClN3O | wB97M-V/def2-TZVPD

Output
SMILES string = CN(C(=O)c1ccc(C#Cc2cncc(Cl)c2)cn1)C(C)(C)C
molecular weight = 327.815 g/mol
DFT total energy = -1396.34032 Eh
ΔE to the lowest compared entry with this formula, charge and spin = 67.5 kcal per mole

Each line ends with the natural charge from an NBO analysis.
Geometry (Å):
H -1.0355 2.6725 5.1471  0.207
C -1.9155 -1.1973 0.3696  -0.193
C 2.7624 -2.1136 -7.3766  0.029
H -1.0118 -0.9229 5.2433  0.228
O -2.3633 -1.4335 3.1612  -0.604
H -1.4029 3.2854 1.6843  0.217
N 0.2613 -0.5957 1.0471  -0.413
C 2.6862 -1.0164 -5.2179  -0.154
H -1.1679 3.8479 3.9059  0.215
H -2.1939 -1.6735 -1.7060  0.228
H -0.2817 0.6846 5.5473  0.200
H -0.9843 1.7663 0.9562  0.213
N 1.7084 -2.8762 -7.0760  -0.388
H 1.0398 2.9206 2.4900  0.209
C -1.0169 -0.8192 1.3700  0.121
H -2.4479 2.6567 4.1738  0.212
H 1.2087 1.1123 2.5416  0.247
C 0.8279 -1.5628 -3.6728  0.078
H 1.2203 2.1142 4.0140  0.203
C 1.1287 -2.7122 -5.8922  0.061
C -1.5111 -1.3567 -0.9449  -0.145
C -1.5212 -0.6015 2.7696  0.647
C -1.1181 0.1267 5.0639  -0.399
H 3.0838 -0.3094 -4.4965  0.236
Cl 4.6028 -0.1829 -6.8213  0.035
H 0.2387 -3.1992 -5.6689  0.194
C 0.3504 -1.3994 -2.5628  -0.018
C 1.5209 -1.7723 -4.9131  -0.164
H 1.7267 -0.5808 -0.5069  0.204
C -0.1600 -1.1199 -1.2490  -0.153
H -2.9484 -1.3871 0.6228  0.238
H 3.1952 -2.1447 -8.3767  0.209
N -1.1130 0.4399 3.5997  -0.463
H -2.1015 0.4497 5.4867  0.198
C -0.7486 1.8278 3.1337  0.165
H -2.4900 1.9310 1.8446  0.214
C 0.7836 1.9960 3.0193  -0.638
C 0.7044 -0.7045 -0.2250  0.062
C -1.3678 2.8314 4.1469  -0.615
C -1.4447 2.2262 1.8123  -0.619
C 3.2960 -1.2075 -6.4444  -0.105

***

2.
C18H18ClNO2S2 | wB97M-V/def2-TZVPD

Output
SMILES string = O=C(OC1CCCCC1)c1cc(NC(=S)c2ccsc2)ccc1Cl
molecular weight = 379.934 g/mol
DFT total energy = -2158.51812 Eh
ΔE to the lowest compared entry with this formula, charge and spin = 0.0 kcal per mole

Each line ends with the natural charge from an NBO analysis.
Geometry (Å):
H -1.9671 0.8116 -4.1352  0.251
H 2.1466 2.6242 5.1832  0.195
H -2.6428 -2.0328 -1.9201  0.393
H -0.9730 2.8431 -3.3210  0.233
O -0.4097 -0.0707 1.6378  -0.614
H 2.3504 -0.2712 2.0331  0.221
C 3.4491 0.5478 3.6864  -0.397
C 2.8062 2.9107 4.3326  -0.390
H 2.5631 3.5116 2.3139  0.209
C 3.9770 1.9057 4.1464  -0.400
C -0.9630 2.0104 -2.6453  -0.231
C -3.6238 -4.0678 -5.0052  -0.289
C -3.8704 -5.5663 -3.0436  -0.380
C -2.4480 -2.1533 -3.9079  0.116
H 0.7747 1.1805 3.3812  0.207
C 1.4550 1.6260 2.5998  0.096
H 1.0655 3.5574 3.3253  0.214
C -1.6172 -0.3003 -2.2977  0.130
O 0.7755 1.8329 1.3439  -0.498
C -0.5194 0.9301 -0.4838  -0.112
N -2.2496 -1.4981 -2.6767  -0.564
C -1.1800 -0.2189 -0.9932  -0.190
C -0.0444 0.8612 0.9091  0.767
C -3.1007 -3.4794 -3.8588  -0.198
H -1.2968 -1.0708 -0.3352  0.242
C 2.6771 0.7127 2.3720  -0.433
H -3.6390 -3.6242 -5.9902  0.256
S -4.3079 -5.6925 -4.7360  0.423
H -2.9920 -4.1289 -1.7491  0.216
H 4.6344 2.2827 3.4115  0.194
C -1.5333 0.8303 -3.1337  -0.172
H 2.7874 0.1113 4.4393  0.201
H 4.5615 1.7904 5.0562  0.207
C -3.2826 -4.3663 -2.7385  -0.246
H 3.2603 1.1131 1.5257  0.207
Cl 0.1379 3.6360 -0.8713  0.034
H -4.0452 -6.3772 -2.3576  0.240
C -0.4312 2.0688 -1.3428  -0.019
H 4.3346 -0.1435 3.5882  0.213
H 3.1841 3.9129 4.4771  0.211
S -1.7554 -1.5413 -5.2804  -0.125
C 1.9524 2.9923 3.0603  -0.417

***

3.
C18H18CoN5O2S | wB97M-V/def2-TZVPD

Output
2S+1 = 4
charge = +1
molecular weight = 427.375 g/mol
DFT total energy = -2901.68328 Eh

Each line ends with the natural charge from an NBO analysis.
Geometry (Å):
C 1.3330 -3.7119 3.3334  -0.106
N -3.3180 -3.7396 -0.5944  -0.758
N 1.3368 -0.6375 0.5786  -0.328
H 4.3699 1.8300 -3.2270  0.231
H 5.6704 -3.2100 0.2991  0.225
C 1.4055 -1.7620 1.3483  0.180
C 1.5384 2.8981 -1.6937  -0.289
N 1.5595 -0.7482 -0.7322  -0.310
C 2.5072 -3.5904 2.4953  -0.062
C 0.2346 -2.9473 3.1758  -0.283
Co -0.4812 -0.5032 -0.0964  1.272
O -0.0460 1.5512 -0.4271  -0.597
S -1.0657 -2.5510 -1.2984  -0.210
H 5.5952 -4.9234 2.0809  0.227